Lee Rankin Materials: Box # 6

Lee Rankin Materials: Box # 2
1. 6 magazines for the 50th anniversary in 1985 of the National Institute of
Municipal Law Officers:
 The Presidents’ Reports
 1985 Conference Program Philadelphia, Pennsylvania
 The Officers, Trustees and State Chairpersons
 The NIMLO magazine/publication
 1985 President’s Report – J. LaMar Shelley (1984-1985), City
Attorney; Mesa, Arizona.
 NIMLO’s 50th Annual Conference “Advance Registration List.”
2. Folder #152.4: Correspondence between Feb. 17, 1965 – Dec. 17, 1965.
3. Folder #116 “(1966-1967-1968-1969)” – this folder contains correspondence and
pertinent documents about “Big Cypress Ranch and Other Matters” dated Feb. 17,
1966 to Nov. 17, 1969.
 Audited Consolidated Financial Statements – Turner Corp. and
Subsidiaries, Irvington, New York – dated Dec. 31, 1969 – Ernst
and Ernst.
 Engineering Study for Development of Big Cypress Ranch – The
Turner Corp., Oct. 5, 1968; Smally, Wellford and Nalven,
Consulting Engineers – Sarasota, Florida – Project No. 1200.
 Turner Corporation, Stamford Connecticut – Wilkinson & Bruns,
Topographical Map Sec. 34, 35, 36, T47S, R29E; Sec. 1, 2, 3, 10,
11, 12, 13, 14, 15, T485, R29E; Naples, Florida – Sept. 16, 1968.
 Cross Sections and Details; Sheet No. 3 of 4 – Pro. TL 101
 Drainage Pump and Culvert; Sheet No. 4 of 4 – Pro. TL 101
 2, 3, 10, 11, 12, 13, 14, 15, T485, R29E – Collier County Florida,
Turner Corporation, Wilkinson, Bruns & Ken, Naples and Grant
Florida – Sheet 1 of 4 PRO TL 101 – dated 10/7/68.
 Letter dated Oct. 16, 1969 (with 2 enclosures) from William B.
Douglass (WBD: ptp) to Mr. Norman Henen, Executive Vice
President, Collier Development Corp. with subject “2nd Exchange,
Collier and Turner.
 Big Cypress Ranch Division Statement of Income For the Periods
Indicated (Dec. 1969 – year-to-date 1969)
 Turner Corp., Schedule of Corporate and Other Income for the
Periods Indicated.
 Turner Corp., Comparative Balance Sheet as of the Dates Indicated
(Dec. 31, 1969 and Dec. 31, 1968)
 Turner Corp., Comp. Working Capital/Fixed Assets
 Turner Corp., Consolidated Statement of Income for the Periods
 Turner- Florida Land Division, Statement of Income for the year
ended Dec. 31, 1969.
-- These calculated crystals were left in the text by mistake --
- - -
Entry 1:
This record from the Materials Project describes an optimized crystal structure of Dy3Ir2. The functional is PBE.

energy	-7.1060	eV per atom
density	12658	kg/m3
calculated formation energy	-0.807	eV per atom

abc: 11.2613 11.2613 25.2556
angles: 90.00 90.00 90.00
Closest atoms and distances in Å follow each position.
Space group I4/mcm (No. 140)
One atom of each set of equivalent atoms:
Dy1 0.0000 0.5000 0.1122 x8  4 Ir 2.86-3.12
Dy2 0.0000 0.5000 0.2500 x4  4 Ir 2.90
Dy3 0.0754 0.2038 0.0717 x32  4 Ir 2.89-3.04
Dy4 0.0796 0.2105 0.3063 x32  5 Ir 2.78-3.07
Dy5 0.1495 0.3505 0.5000 x8  4 Ir 2.72-2.84
Ir1 0.0000 0.0000 0.0000 x4  8 Dy 3.04, 2 Ir 3.38
Ir2 0.0000 0.0000 0.1339 x8  8 Dy 2.91-2.95, 1 Ir 2.93
Ir3 0.0000 0.0000 0.2500 x4  8 Dy 2.91, 2 Ir 2.93
Ir4 0.0968 0.4032 0.0000 x8  6 Dy 2.84-2.89, 1 Ir 3.08
Ir5 0.1539 0.3461 0.1885 x16  6 Dy 2.90-3.12
Ir6 0.1791 0.3209 0.3940 x16  6 Dy 2.72-2.91

***

Entry 2:
This record from the Materials Project describes an optimized crystal structure of DyIr2. The functional is PBE.

energy	-8.2562	eV per atom
density	16666	kg/m3
calculated formation energy	-0.828	eV per atom

abc: 7.5826 7.5826 7.5826
angles: 90.00 90.00 90.00
Closest atoms and distances in Å follow each position.
Space group Fd-3m (No. 227, origin choice 2)
One atom of each set of equivalent atoms:
Dy1 0.1250 0.1250 0.1250 x8  12 Ir 3.14, 4 Dy 3.28
Ir1 0.0000 0.0000 0.5000 x16  6 Ir 2.68

***

Entry 3:
This record from the Materials Project describes an optimized crystal structure of LiDy2Ir. The functional is PBE.

energy	-5.5697	eV per atom
density	10330	kg/m3
calculated formation energy	-0.579	eV per atom

abc: 6.9592 6.9592 6.9592
angles: 90.00 90.00 90.00
Closest atoms and distances in Å follow each position.
Space group Fm-3m (No. 225)
One atom of each set of equivalent atoms:
Li1 0.0000 0.0000 0.0000 x4  8 Dy 3.01
Dy1 0.2500 0.2500 0.2500 x8  4 Li 3.01, 4 Ir 3.01
Ir1 0.0000 0.0000 0.5000 x4  8 Dy 3.01


# RuF3

An optimized crystal structure of RuF3 (meta-GGA r2SCAN, the Materials Project).

## Properties
**DFT total energy**: -0.773 Ry/atom

a = 4.9120 Å, b = 4.9791 Å, c = 5.3866 Å
α = 90.28°, β = 117.08°, γ = 119.48°
Last column: nearest neighbours and their distance in Å.
Fractional positions:
Ru1 0.0000 0.0000 0.0000  6 F 1.98-2.02
Ru2 0.0000 0.5000 0.5000  6 F 1.98-2.02
F1 0.1543 0.2483 0.7487  2 Ru 1.99
F2 0.1596 0.4128 0.2499  2 Ru 1.98-2.02
F3 0.4971 0.0884 0.2489  2 Ru 1.98-2.02
F4 0.5029 0.9116 0.7511  2 Ru 1.98-2.02
F5 0.8404 0.5872 0.7501  2 Ru 1.98-2.02
F6 0.8457 0.7517 0.2513  2 Ru 1.99

=====

# RuF5

An optimized crystal structure of RuF5 (meta-GGA r2SCAN, the Materials Project).

## Properties
**DFT total energy**: -0.641 Ry/atom

a = 5.3915 Å, b = 9.8133 Å, c = 12.2870 Å
α = 90.00°, β = 99.46°, γ = 90.00°
Last column: nearest neighbours and their distance in Å.
Fractional positions:
Ru1 0.0054 0.2429 0.4980  6 F 1.81-2.02
Ru2 0.0054 0.2571 0.9980  6 F 1.81-2.02
Ru3 0.3075 0.5037 0.7028  6 F 1.81-2.02
- - -
-- Back to the text --
Turner-Florida Land Division, Statement of Income for the month
ended Dec. 31, 1969.
Highland Citrus Groves Division, Statement of Income for the
Periods Indicated (Dec. 1969 – year-to-date 1969).
4. Folder #126.3:
 Correspondence regarding the matter of John Edward Connelly,
Jr., Paul J. Chase, John Logan O’donnell, Leo P. Anaboldi, Jr.,
Harry F. Weyhen, William F. Sondericker, Raplhp C. Goldman,
Attorneys. – dated Sept. 10, 1962 to Nov. 5, 1962.
 Notes on yellow paper about (probably) Connelly case – about
 Connelly file: Outline of procedure of the Committee on
Grievances pgs. 1-20.
 Appellate Division of the Supreme Court First Judicial Dept. –
ORDER for Connelly case
 Notice, Petition and Affidavits for Connelly case
-- begin --
(1)
This record from Materials Project describes La4MnS6O after structural relaxation. The functional is PBE+U.

a b c (Å): 6.7974 9.4893 9.4982
angles (deg): 119.94 90.05 90.02
Last column: nearest neighbours and their distance in Å.
Fractional positions:
La1 0.0000 0.0000 0.0000  1 O 2.40
La2 0.0005 0.4106 0.4103  1 O 2.40
La3 0.0316 0.4703 0.9396  1 O 2.35
La4 0.4989 0.6069 0.8023  1 O 2.40
La5 0.4999 0.1964 0.8025  1 O 2.40
La6 0.5005 0.6066 0.2122  1 O 2.39
La7 0.5317 0.1367 0.2733  1 O 2.35
La8 0.9990 0.9998 0.4104  1 O 2.40
Mn1 0.3349 0.8082 0.6083  6 S 2.49-2.69
Mn2 0.8310 0.8005 0.6046  6 S 2.48-2.69
S1 0.1006 0.0403 0.7251  2 Mn 2.49-2.69
S2 0.1007 0.6848 0.7259  2 Mn 2.54-2.67
S3 0.1019 0.6848 0.3691  2 Mn 2.53-2.68
S4 0.2795 0.2732 0.1367  3 La 2.82-2.95
S5 0.2797 0.2729 0.5458  3 La 2.82-2.94
S6 0.2795 0.8639 0.1370  3 La 2.82-2.95
S7 0.6009 0.5669 0.4879  2 Mn 2.48-2.69
S8 0.6010 0.9223 0.4874  2 Mn 2.51-2.65
S9 0.6021 0.9221 0.8436  2 Mn 2.51-2.65
S10 0.7794 0.3338 0.0763  3 La 2.83-2.95
S11 0.7795 0.7429 0.0761  3 La 2.82-2.95
S12 0.7795 0.3339 0.6670  3 La 2.82-2.95
O1 0.3779 0.4699 0.9395  4 La 2.35-2.40
O2 0.8778 0.1370 0.2734  4 La 2.35-2.40

Calculated values
Energy relative to the elements ... -2456 meV/atom
Calculated volume ... 265.5 Å³/f.u.
SG ... P1 (1)

(2)
This record from Materials Project describes Li3MnPCO7 after structural relaxation. The functional is PBE+U.

a b c (Å): 5.1945 6.7200 8.7811
angles (deg): 79.63 88.42 89.83
Last column: nearest neighbours and their distance in Å.
Fractional positions:
Li1 0.0381 0.2383 0.2461  3 O 1.87-2.05
Li2 0.3242 0.8832 0.2709  3 O 1.93-2.09
Li3 0.4329 0.4907 0.2858  3 O 1.92-2.03
Li4 0.5671 0.5093 0.7142  3 O 1.92-2.03
Li5 0.6758 0.1168 0.7291  3 O 1.93-2.09
Li6 0.9619 0.7617 0.7539  3 O 1.87-2.05
Mn1 0.1506 0.2580 0.8683  6 O 2.16-2.39
Mn2 0.8494 0.7420 0.1317  6 O 2.16-2.39
P1 0.3481 0.7570 0.9256  4 O 1.55-1.57
P2 0.6519 0.2430 0.0744  4 O 1.55-1.57
C1 0.1969 0.2731 0.5568  3 O 1.29-1.32
C2 0.8031 0.7269 0.4432  3 O 1.29-1.32
O1 0.0294 0.7460 0.3790  1 C 1.29
O2 0.1886 0.9427 0.8502  1 P 1.55
O3 0.2398 0.2759 0.4115  1 C 1.29
O4 0.2612 0.5824 0.8419  1 P 1.57
O5 0.2724 0.7058 0.1019  1 P 1.56
O6 0.3566 0.2026 0.0967  1 P 1.56
O7 0.3915 0.2905 0.6474  1 C 1.32
O8 0.6085 0.7095 0.3526  1 C 1.32
O9 0.6434 0.7974 0.9033  1 P 1.56
O10 0.7276 0.2942 0.8981  1 P 1.56
O11 0.7388 0.4176 0.1581  1 P 1.57
O12 0.7602 0.7241 0.5885  1 C 1.29
O13 0.8114 0.0573 0.1498  1 P 1.55
O14 0.9706 0.2540 0.6210  1 C 1.29

Calculated values
Energy relative to the elements ... -2388 meV/atom
Calculated volume ... 150.7 Å³/f.u.
SG ... P-1 (2)

(3)
This record from Materials Project describes V2Pb4O9 after structural relaxation. The functional is PBE+U.

a b c (Å): 23.2646 11.7791 7.5726
angles (deg): 90.00 90.00 90.00
Last column: nearest neighbours and their distance in Å.
Fractional positions:
V1 0.0953 0.0038 0.0049  4 O 1.73-1.76
V2 0.0953 0.4962 0.0049  4 O 1.73-1.76
-- stop --
5. Folder #116 (1970) (B) – “Ranch and Paris Correspondence:”
 April 6, 1970 – Correspondence with Lee A. Paris, Public
Accountant in Minneapolis, MN about Turner Corp. and the Ranch
 Correspondence dated 4/20/70 with William B. Douglass,
President of Turner Corp.
 Big Cypress Ranch Report #21
 Correspondence dated 5/27/70 with WBD on Big Cypress Ranch,
Animal Purchases for 1970
 Correspondence dated 1/13/70 with WBD on Big Cypress Ranch,
on artificial inseminations, the costs per bred cow and the natural
service costs per bred cow.
 Article from The Florida Cattleman – “50 Pounds More From
Using Better Bulls,” from July 1969 issue – p.34-36, 40-42, 106.
6. Folder #116 (1972) (Ranch) (B) – “Ranch and Turner:”
 Correspondence dated from May 1971 to August 30, 1972
regarding the Big Cypress Ranch and Turner Corp.
7. Folder #117 - Cooper Foundation – Old PSBBR4 964:
 Board meeting handout from Tuesday Dec. 15, 1964 – regarding
Cooper Foundation’s financial commitments – attached are
accounting sheets.
 Letter from Cubmaster Kenn Maloney to JLR about “Notable
Nebraskan” Museum in Holdredge.
 Articles of Association of the Cooper Foundation – dated 12/14/34
 Minutes of Trustees’ Meeting of Cooper Foundation from 4/2/35
through Tuesday, 6/29/43.
8. Folder #152:
 Corrections on list of Eisenhower alumni – dated Dec. 13, 1961.
 Correspondence dated from Nov. 16, 1955 to Nov. 20, 1961
 Inscriptions on the Dept. of Justice Building.
Business Reply Envelope: The Committee for the Blue Book
(Pasadena, CA).
 2pgs with addresses for Roger C. Rankin and James Lee Rankin
and Gertrude Carpenter.
9. Folder #116.1 – (March 16, 1965-Jan.16, 1970) – “Lee Tidewater
Correspondence – 1965-1969:”
 Highland Citrus Groves Division – 10 year Economic Study
 And various documents and correspondence regarding the
Highland Citrus Groves Division, Big Cypress Ranch Division and
Turner Corp.
-- The text is interrupted by crystal structures --
┌──
(1)
{
  "formula": "Ce3CoGe2",
  "functional": "GGA-PBE",
  "state": "optimized geometry",
  "spacegroup": "Pnma",
  "magnetic_moment_mub_per_atom": 0.01,
  "mass_density_g_cm3": 7.4,
  "e_form_ev_per_atom": -0.624,
  "cell": [[-3.6536, 0.8645, -1.8170], [-5.3466, -2.0101, 9.7948], [1.2000, 11.3396, 2.9822]],
  "species": ["Ce", "Ce", "Ce", "Ce", "Ce", "Ce", "Ce", "Ce", "Ce", "Ce", "Ce", "Ce", "Co", "Co", "Co", "Co", "Ge", "Ge", "Ge", "Ge", "Ge", "Ge", "Ge", "Ge"],
  "fractional_positions": [[0.2500, 0.3734, 0.0508], [0.7500, 0.6266, 0.9492], [0.7500, 0.8734, 0.4492], [0.2500, 0.1266, 0.5508], [0.2500, 0.7013, 0.2257], [0.7500, 0.2987, 0.7743], [0.7500, 0.2013, 0.2743], [0.2500, 0.7987, 0.7257], [0.2500, 0.4435, 0.3822], [0.7500, 0.5565, 0.6178], [0.7500, 0.9435, 0.1178], [0.2500, 0.0565, 0.8822], [0.2500, 0.1306, 0.1300], [0.7500, 0.8694, 0.8700], [0.7500, 0.6306, 0.3700], [0.2500, 0.3694, 0.6300], [0.2500, 0.6882, 0.4798], [0.7500, 0.3118, 0.5202], [0.7500, 0.1882, 0.0202], [0.2500, 0.8118, 0.9798], [0.2500, 0.9983, 0.3012], [0.7500, 0.0017, 0.6988], [0.7500, 0.4983, 0.1988], [0.2500, 0.5017, 0.8012]]
}

=====

(2)
{
  "formula": "Eu2Zr5Se10",
  "functional": "GGA-PBE",
  "state": "optimized geometry",
  "spacegroup": "P-1",
  "magnetic_moment_mub_per_atom": 0.83,
  "mass_density_g_cm3": 5.6,
  "e_form_ev_per_atom": -1.774,
  "cell": [[-0.0045, 6.5209, -0.0012], [7.5964, -0.0024, -7.4539], [-1.8943, 3.2646, -7.4463]],
  "species": ["Eu", "Eu", "Zr", "Zr", "Zr", "Zr", "Zr", "Se", "Se", "Se", "Se", "Se", "Se", "Se", "Se", "Se", "Se"],
  "fractional_positions": [[0.7930, 0.0876, 0.4123], [0.0070, 0.5124, 0.9877], [0.4000, 0.8000, 0.2000], [0.8023, 0.6021, 0.3996], [0.1919, 0.4009, 0.5987], [0.6081, 0.1991, 0.8013], [0.9977, 0.9979, 0.0004], [0.9795, 0.8414, 0.3812], [0.5725, 0.0439, 0.1784], [0.1769, 0.2453, 0.9782], [0.7700, 0.4444, 0.7811], [0.3822, 0.6480, 0.5726], [0.4178, 0.9520, 0.8274], [0.0300, 0.1556, 0.6189], [0.6231, 0.3547, 0.4218], [0.2275, 0.5561, 0.2216], [0.8205, 0.7586, 0.0188]]
}

=====

(3)
{
  "formula": "GdMgNi4",
  "functional": "GGA-PBE",
  "state": "optimized geometry",
  "spacegroup": "F-43m",
  "mass_density_g_cm3": 8.0,
  "e_form_ev_per_atom": -0.379,
  "cell": [[0.0000, 3.5052, 3.5052], [3.5052, 0.0000, 3.5052], [3.5052, 3.5052, 0.0000]],
  "species": ["Gd", "Mg", "Ni", "Ni", "Ni", "Ni"],
  "fractional_positions": [[0.0000, 0.0000, 0.0000], [0.2500, 0.2500, 0.2500], [0.6238, 0.6238, 0.1286], [0.6238, 0.1286, 0.6238], [0.1286, 0.6238, 0.6238], [0.6238, 0.6238, 0.6238]]
}

----------

! Na2FeO2 GGA+U optimized geometry; values from VASP
! * maximum piezoelectric response: 0.54 C/m2
! * total magnetization: 0.000 μB/cell
! * calculated total energy: -5.001 eV per atom
&SYSTEM
  ibrav = 0, nat = 20, ntyp = 3
/
ATOMIC_SPECIES
O 16.00 O.upf
Na 22.99 Na.upf
Fe 55.84 Fe.upf
CELL_PARAMETERS angstrom
3.007 0.000 0.000
-1.503 5.296 8.506
1.503 -5.296 8.506
ATOMIC_POSITIONS crystal
O 0.273 0.475 0.929
Na 0.391 0.315 0.532
└──
10. Folder #717.1:
 Correspondence dated from May 26, 1955 to July 17, 1964
 Criminal case No. 30132 – dated March 14, 1963: United States of
America vs. General Motors Corp., Losor Chevy Dealers Assoc.,
Dealers’ Service, Inc. Foothill Chevrolet Dealers Assoc., Kenneth
B. Staley, Lee N. Mays, Roy M. Cash, and Robert M. O’Connor.
11. Last folder (though moved to top of box to keep it from being bent more):
contains large photograph of James Lee Rankin.